Transparency critical to faith in NRM system
Calculated crystals that have nothing to do with the entry.
-- begin --
Entry 1:
DFT (PBE) results for a relaxed structure of Zn2Cd2Ge.

a b c (Å): 8.2641 8.2641 2.8987
angles (deg): 90.00 90.00 90.00
Element x y z (fractional)
Zn  0.1148  0.3852  0.0000
Zn  0.3852  0.8852  0.0000
Zn  0.6148  0.1148  0.0000
Zn  0.8852  0.6148  0.0000
Cd  0.1834  0.6834  0.5000
Cd  0.3166  0.1834  0.5000
Cd  0.6834  0.8166  0.5000
Cd  0.8166  0.3166  0.5000
Ge  0.0000  0.0000  0.5000
Ge  0.5000  0.5000  0.5000

energy above the lowest structure with this stoichiometry = 0 meV/atom
crystal system = tetragonal

Entry 2:
DFT (PBE) results for a relaxed structure of ZrCdGe.

a b c (Å): 4.6703 4.6703 8.0507
angles (deg): 115.11 115.11 61.40
Element x y z (fractional)
Zr  0.1260  0.1260  0.2684
Zr  0.8740  0.8740  0.7316
Cd  0.3520  0.3520  0.0430
Cd  0.6480  0.6480  0.9570
Ge  0.1752  0.1752  0.6327
Ge  0.8248  0.8248  0.3673

crystal system = monoclinic

Entry 3:
DFT (PBE) results for a relaxed structure of ZrCd2Ge2.

a b c (Å): 7.4229 7.4229 7.4229
angles (deg): 149.36 149.36 43.88
Element x y z (fractional)
Zr  0.0000  0.0000  0.0000
Cd  0.2500  0.7500  0.5000
Cd  0.7500  0.2500  0.5000
Ge  0.4092  0.4092  0.0000
Ge  0.5908  0.5908  0.0000

energy above the lowest structure with this stoichiometry = 62 meV/atom
crystal system = tetragonal

Entry 4:
DFT (PBE) results for a relaxed structure of Zr2CdGe.

a b c (Å): 6.1950 6.1950 6.1950
angles (deg): 103.42 103.42 122.40
Element x y z (fractional)
Zr  0.1047  0.6250  0.9797
Zr  0.3750  0.3547  0.4797
Zr  0.6453  0.1250  0.0203
Zr  0.8750  0.8953  0.5203
Cd  0.2500  0.7500  0.5000
Cd  0.5000  0.5000  0.0000
Ge  0.0000  0.0000  0.0000
Ge  0.7500  0.2500  0.5000

crystal system = tetragonal

Entry 5:
DFT (PBE) results for a relaxed structure of ZrCd2Ge2.

a b c (Å): 7.2134 7.2134 4.0355
angles (deg): 90.00 90.00 90.00
Element x y z (fractional)
Zr  0.0000  0.0000  0.0000
Zr  0.5000  0.5000  0.0000
Cd  0.1718  0.3282  0.5000
Cd  0.3282  0.8282  0.5000
Cd  0.6718  0.1718  0.5000
Cd  0.8282  0.6718  0.5000
Ge  0.1303  0.6303  0.0000
Ge  0.3697  0.1303  0.0000
Ge  0.6303  0.8697  0.0000
Ge  0.8697  0.3697  0.0000

energy above the lowest structure with this stoichiometry = 0 meV/atom
crystal system = tetragonal

Entry 6:
DFT (PBE) results for a relaxed structure of ZrCdGe2.

a b c (Å): 6.0725 6.0725 6.0725
angles (deg): 104.59 104.59 119.75
Element x y z (fractional)
Zr  0.0000  0.0000  0.0000
Zr  0.7500  0.2500  0.5000
Cd  0.2500  0.7500  0.5000
Cd  0.5000  0.5000  0.0000
Ge  0.1356  0.1250  0.5106
Ge  0.3750  0.8644  0.9894
Ge  0.6144  0.6250  0.4894
Ge  0.8750  0.3856  0.0106

crystal system = tetragonal

So what do the calculations give for DFT formation energy? Going down the list: 181, -99, 57, -95, -5, 61 meV/atom.
So what do the calculations give for total magnetic moment? Going down the list: 0.0, 0.0, 0.0, 0.0, 0.0, 0.0 μB/cell.
-- stop --
The South Australian Government announced last year that regional NRM levies are to be used to recover costs for water planning and management
_Unrelated to this article: calculated crystals_
Run A
# PBE-GGA BaLiLa2Co, relaxed
# size of the total moment: 0.0 μB per cell
data_BaLiLa2Co
_chemical_formula_sum 'Ba1 Li1 La2 Co1'
_cell_length_a 5.293
_cell_length_b 5.293
_cell_length_c 5.873
_cell_angle_alpha 90.00
_cell_angle_beta 90.00
_cell_angle_gamma 90.00
_space_group_name_H-M_alt 'P 4/m m m'
_space_group_IT_number 123
_space_group_name_Hall '-P 4 2'
loop_
_atom_site_label
_atom_site_type_symbol
_atom_site_fract_x
_atom_site_fract_y
_atom_site_fract_z
Ba1 Ba 0.000 0.000 0.000
Li1 Li 0.500 0.500 0.000
La1 La 0.000 0.500 0.500
Co1 Co 0.500 0.500 0.500

Run B
# PBE-GGA BaLiLa2Co, relaxed
# size of the total moment: 0.0 μB per cell
data_BaLiLa2Co
_chemical_formula_sum 'Ba1 Li1 La2 Co1'
_cell_length_a 5.311
_cell_length_b 5.311
_cell_length_c 6.361
_cell_angle_alpha 90.00
_cell_angle_beta 90.00
_cell_angle_gamma 90.00
_space_group_name_H-M_alt 'P 4/m m m'
_space_group_IT_number 123
_space_group_name_Hall '-P 4 2'
loop_
_atom_site_label
_atom_site_type_symbol
_atom_site_fract_x
_atom_site_fract_y
_atom_site_fract_z
Ba1 Ba 0.000 0.000 0.000
Li1 Li 0.500 0.500 0.000
La1 La 0.000 0.500 0.500
Co1 Co 0.000 0.000 0.500

Ordering by calculated energy gives the sequence run B, run A, with the first entry being the most stable.

Run A
# PBE-GGA BaLa2MgCo, relaxed
# size of the total moment: 0.0 μB per cell
data_BaLa2MgCo
_chemical_formula_sum 'Ba1 La2 Mg1 Co1'
_cell_length_a 5.427
_cell_length_b 5.427
_cell_length_c 5.496
_cell_angle_alpha 90.00
_cell_angle_beta 90.00
_cell_angle_gamma 90.00
_space_group_name_H-M_alt 'P 4/m m m'
_space_group_IT_number 123
_space_group_name_Hall '-P 4 2'
loop_
_atom_site_label
_atom_site_type_symbol
_atom_site_fract_x
_atom_site_fract_y
_atom_site_fract_z
Ba1 Ba 0.000 0.000 0.000
La1 La 0.000 0.500 0.500
Mg1 Mg 0.500 0.500 0.000
Co1 Co 0.500 0.500 0.500

Run B
# PBE-GGA BaLa2MgCo, relaxed
# size of the total moment: 0.0 μB per cell
data_BaLa2MgCo
_chemical_formula_sum 'Ba1 La2 Mg1 Co1'
_cell_length_a 5.341
_cell_length_b 5.341
_cell_length_c 6.103
_cell_angle_alpha 90.00
_cell_angle_beta 90.00
_cell_angle_gamma 90.00
_space_group_name_H-M_alt 'P 4/m m m'
_space_group_IT_number 123
_space_group_name_Hall '-P 4 2'
loop_
_atom_site_label
_atom_site_type_symbol
_atom_site_fract_x
_atom_site_fract_y
_atom_site_fract_z
Ba1 Ba 0.000 0.000 0.000
La1 La 0.000 0.500 0.500
Mg1 Mg 0.500 0.500 0.000
Co1 Co 0.000 0.000 0.500

Ordering by calculated energy gives the sequence run A, run B, with the first entry being the most stable.

Run A
# PBE-GGA BaNaLa2Co, relaxed
# size of the total moment: 0.0 μB per cell
data_BaNaLa2Co
_chemical_formula_sum 'Ba1 Na1 La2 Co1'
_cell_length_a 5.376
_cell_length_b 5.376
_cell_length_c 6.467
_cell_angle_alpha 90.00
_cell_angle_beta 90.00
_cell_angle_gamma 90.00
_space_group_name_H-M_alt 'P 4/m m m'
_space_group_IT_number 123
_space_group_name_Hall '-P 4 2'
loop_
_atom_site_label
_atom_site_type_symbol
_atom_site_fract_x
_atom_site_fract_y
_atom_site_fract_z
Ba1 Ba 0.000 0.000 0.000
(WPM) activities undertaken by the Department of Environment, Water and Natural Resources.
Significant levy increases are being proposed in several NRM regions to fund the WPM costs which amount statewide to $3.5 million for 2015‐16, and $6.7 million per year from 2016‐17 onwards, indexed annually.
Primary Producers SA and its associated commodity groups have raised concerns regarding the lack of transparency surrounding the calculation of costs of WPM activities undertaken by DEWNR and the associated contribution of levy payers. This transparency is critical to ensure that levy payers have faith in the NRM system that they are funding.
PPSA has been calling on the State Government to undertake an independent review of WPM costs with the results to be made public. At a meeting last week Minister for Water Ian Hunter clearly stated to PPSA that he will not commit to the public independent review that has been requested.
However he did commit to opening up the books of DEWNR to PPSA and PPSA’s nominees to investigate how the WPM costs have been calculated. PPSA is hopeful that this opportunity will enhance transparency and allow greater scrutiny of this expenditure.
NRM Boards recently undertook consultation on their draft business plans which included the increased NRM land and water levies to account for the WPM cost‐recovery. This consultation should have been the opportunity for levy payers to provide feedback to NRM Boards and Minister
Hunter on the levies, how they are calculated and what they are spent on. However, in respect to WPM costs, there was no additional detail beyond multi‐million dollar figures. A commitment has now been made by DEWNR to provide PPSA with a breakdown of WPM spending on a regional level.
This information is welcomed but in the future it must be provided prior to public consultations to enable meaningful feedback to be given by levy payers regarding levy expenditure.
The NWI Pricing Principles to which Minister Hunter has linked the cost‐recovery measures also support the need for transparency. They state that when WPM costs “are to be recovered from water users in whole or in part, activities should be ‘tested’ for cost‐effectiveness by an independent party and the findings of the cost‐effectiveness review are to be made public”. Minister Hunter has committed to providing information to PPSA to show how the SA Government is meeting its obligations under the NWI.
Sustainable management of water resources is in the interests of all primary producers as the daily operation of our businesses is dependent on the reliable supply of water. The broader community also impacts on water resources through business operations, domestic use and recreation.
Therefore, all South Australians have an interest in ensuring that our water resources are managed sustainably into the future. We need to be able to support the NRM system that performs this role and in order to provide this support we need levy expenditure that is transparent, accountable and justified.
‐ Livestock SA, 08 8297 2299, www.livestocksa.org.au